Loss Events
Loss Events can be generated manually or through the classification of the tickets which are opened when you define the typology of the Loss Event. In the main screen of ‘Loss Events’ GlobalSUITE displays all those events that are 'Opened' and 'Under investigation', as well as the following options:
********
# 1
Li24Mn7Cr5O36, optimized geometry, DFT PBE with a Hubbard U; total energy after the MP2020 corrections = -6.8708 eV/atom; energy of formation = -2199 meV per atom; VASP energy = -6.226 eV/atom; distance to the lowest polymorph of the same formula = 2 meV per atom
1.0
5.006 0.000 0.000
-0.801 9.709 0.000
-2.460 -1.875 12.913
Li Mn Cr O
24 7 5 36
direct
0.000 0.000 0.000
0.000 0.499 0.499
0.118 0.498 0.718
0.120 0.001 0.223
0.163 0.249 0.584
0.166 0.749 0.082
0.212 0.998 0.443
0.220 0.501 0.947
0.333 0.499 0.167
0.333 0.999 0.666
0.450 0.500 0.385
0.451 0.999 0.887
0.497 0.750 0.748
0.499 0.249 0.250
0.548 0.000 0.111
0.551 0.500 0.614
0.664 0.500 0.833
0.666 0.000 0.333
0.779 0.498 0.051
0.785 0.000 0.555
0.831 0.250 0.917
0.832 0.750 0.415
0.880 0.999 0.776
0.882 0.499 0.280
0.053 0.248 0.359
0.278 0.750 0.306
0.390 0.750 0.527
0.391 0.251 0.028
0.608 0.748 0.972
0.723 0.250 0.694
0.944 0.249 0.138
0.050 0.749 0.860
0.273 0.249 0.807
0.604 0.250 0.473
0.726 0.750 0.192
0.945 0.751 0.636
0.017 0.136 0.688
0.020 0.638 0.192
0.096 0.363 0.048
0.097 0.863 0.548
0.161 0.863 0.759
0.165 0.638 0.404
0.166 0.361 0.261
0.170 0.138 0.904
0.236 0.136 0.118
0.241 0.635 0.616
0.310 0.862 0.975
0.312 0.361 0.474
0.350 0.136 0.355
0.359 0.638 0.856
0.431 0.364 0.715
0.432 0.863 0.216
0.496 0.637 0.069
0.502 0.139 0.570
0.502 0.362 0.931
0.502 0.861 0.428
0.567 0.635 0.285
0.568 0.136 0.784
0.636 0.862 0.642
0.643 0.361 0.143
0.690 0.138 0.023
0.690 0.638 0.525
0.764 0.863 0.882
0.765 0.364 0.382
0.830 0.861 0.095
0.831 0.138 0.236
0.836 0.363 0.597
0.841 0.638 0.738
0.900 0.635 0.952
0.902 0.136 0.450
0.980 0.361 0.808
0.981 0.863 0.311

***

# 2
Li3Mn2O5, optimized geometry, DFT PBE with a Hubbard U; total energy after the MP2020 corrections = -7.0283 eV/atom; energy of formation = -2149 meV per atom; VASP energy = -6.351 eV/atom; distance to the lowest polymorph of the same formula = 1 meV per atom
1.0
2.619 -7.165 0.000
2.619 7.165 0.000
-1.975 0.000 4.817
Li Mn O
6 4 10
direct
0.000 0.000 0.000
0.097 0.903 0.500
0.303 0.697 0.500
0.500 0.500 0.500
0.697 0.303 0.500
0.903 0.097 0.500
0.199 0.801 0.000
0.401 0.599 0.000
0.599 0.401 0.000
0.801 0.199 0.000
0.078 0.472 0.765
0.155 0.365 0.213
0.280 0.280 0.765
0.365 0.155 0.213
0.472 0.078 0.765
0.528 0.922 0.235
0.635 0.845 0.787
0.720 0.720 0.235
0.845 0.635 0.787
0.922 0.528 0.235

***

# 3
LiVCrP4O14, optimized geometry, DFT PBE with a Hubbard U; total energy after the MP2020 corrections = -7.9547 eV/atom; energy of formation = -2642 meV per atom; VASP energy = -7.321 eV/atom; distance to the lowest polymorph of the same formula = 4 meV per atom
1.0
7.155 0.000 0.000
-3.522 9.013 0.000
-1.791 -4.496 16.128
Li V Cr P O
4 4 4 16 56
direct
0.000 0.000 0.000
0.025 0.374 0.752
0.748 0.750 0.501
0.775 0.124 0.252
0.146 0.543 0.073
0.390 0.792 0.573
0.637 0.039 0.068
0.893 0.289 0.567
0.209 0.154 0.323
0.458 0.404 0.822
0.702 0.653 0.318
0.952 0.903 0.818
0.030 0.790 0.211
0.069 0.266 0.911
0.115 0.267 0.159
********

New: It allows you to generate Loss Events
Remove: It allows you to remove Loss Events.
Copy: This option allows you to copy Loss Events which have been defined before.
Show: When you use GlobalSUITE® as data base, in this option you can select if GlobalSUITE® shows the Loss Events that are open or all of them. You can do it through the dropdown menu, as well as you can filter by employees who have assigned the Loss Event.

Download: It allows you to download Loss Events that can be shown (depending on the filters you have set) in Excel or in PDF
Show graphs: It offers different graphs based on data from the logs of Loss Events. The following graphic shows:
Events Status: It allows you to display the number of loss events that are in each state. If you are located on the graph, you can view the number of each state.
## What comes next are records of crystals, not part of the page
********
[1]
A plane-wave DFT calculation with PBE was carried out for a geometry-optimized BaRuN2 structure.

Properties
- E (MP2020): -0.540 Ry/atom
- Energy: -0.263 Ha/atom
- Energy of formation: -0.377 eV per atom

Structure (extended XYZ):
```
16
Lattice="3.0499 -5.9219 0.0000 3.0499 5.9219 0.0000 0.0000 0.0000 8.0433" Properties=species:S:1:pos:R:3 pbc="T T T"
Ba 3.0499 4.0760 7.5448
Ba 3.0499 1.8458 3.5232
Ba 3.0499 -1.8458 4.5201
Ba 3.0499 -4.0760 0.4985
Ru 3.0499 5.1860 2.9859
Ru 3.0499 0.7359 7.0075
Ru 3.0499 -0.7359 1.0358
Ru 3.0499 -5.1860 5.0574
N 3.0499 4.5288 4.8095
N 1.5249 1.1359 6.0325
N 1.5249 -1.1359 2.0108
N 3.0499 1.3930 0.7878
N 3.0499 -1.3930 7.2554
N 4.5748 1.1359 6.0325
N 4.5748 -1.1359 2.0108
N 3.0499 -4.5288 3.2338
```

---

[2]
A plane-wave DFT calculation with PBE was carried out for a geometry-optimized YMg2Ti3S8 structure.

Properties
- E (MP2020): -0.476 Ry/atom
- Energy: -0.227 Ha/atom
- Energy of formation: -1.730 eV per atom

Structure (extended XYZ):
```
14
Lattice="3.6900 2.1304 6.2776 -3.6900 2.1304 6.2776 0.0000 -4.2609 6.2776" Properties=species:S:1:pos:R:3 pbc="T T T"
Y 0.0000 0.0000 0.0000
Mg 0.0000 0.0000 7.0241
Mg 0.0000 0.0000 11.8086
Ti -3.6900 0.0000 9.4163
Ti -1.8450 1.0652 3.1388
Ti 1.8450 1.0652 3.1388
S -1.9154 -1.1059 10.7886
S 0.0000 0.0000 4.5356
S 0.0000 -2.2117 8.0441
S -1.9154 1.1058 8.0441
S 1.9154 -1.1058 10.7886
S 0.0000 2.2117 10.7886
S 0.0000 0.0000 14.2971
S 1.9154 1.1058 8.0441
```

---

[3]
A plane-wave DFT calculation with PBE was carried out for a geometry-optimized K4Sn9 structure.

Properties
- Energy: -0.123 Ha/atom
- Energy of formation: -0.223 eV per atom

Structure (extended XYZ):
```
52
Lattice="14.4663 0.0000 0.0000 0.0000 8.4689 0.0000 -1.4902 0.0000 16.6580" Properties=species:S:1:pos:R:3 pbc="T T T"
K -0.4432 0.5138 6.4018
K -1.1883 3.7206 14.7307
K 1.4075 0.2540 2.3790
K 0.6625 3.9804 10.7079
K 4.0553 0.5502 9.2068
K 4.8004 3.6842 0.8778
K 5.7884 0.5977 3.9669
K 5.0433 3.6367 12.2959
K 7.9328 4.8321 4.3621
K 7.1878 7.8712 12.6910
K 8.1758 4.7847 15.7801
K 8.9209 7.9186 7.4511
K 12.3137 4.4885 5.9500
K 11.5687 8.2148 14.2790
K 14.1645 4.7483 1.9272
K 13.4194 7.9550 10.2562
Sn 1.1460 5.7574 4.9667
Sn 0.4009 6.9459 13.2956
Sn 1.3871 6.2145 7.9016
Sn 0.6421 6.4889 16.2305
Sn 1.0996 0.9296 15.5163
Sn 1.8447 3.3048 7.1873
Sn 1.8716 1.0244 12.6396
Sn 2.6167 3.2100 4.3106
Sn 2.3026 4.8604 14.2712
Sn 3.0477 7.8429 5.9422
Sn 4.2388 5.7174 4.1173
Sn 3.4937 6.9859 12.4463
Sn 3.9182 4.8210 8.8467
Sn 4.6633 7.8824 0.5177
Sn 4.1494 0.8605 14.6539
Sn 4.8944 3.3739 6.3250
Sn 5.5508 6.2970 6.7950
Sn 4.8057 6.4063 15.1240
Sn 8.1705 2.0626 1.5340
Sn 7.4254 2.1719 9.8630
Sn 8.0817 5.0950 10.3330
Sn 8.8268 7.6083 2.0040
Sn 8.3129 0.5865 16.1403
Sn 9.0580 3.6479 7.8113
Sn 9.4824 1.4830 4.2117
Sn 8.7374 2.7515 12.5407
Sn 9.9285 0.6260 10.7157
Sn 10.6736 3.6085 2.3867
Sn 10.3595 5.2588 12.3473
Sn 11.1046 7.4445 4.0183
Sn 11.1315 5.1641 9.4706
Sn 11.8766 7.5393 1.1417
Sn 12.3341 1.9800 0.4274
********
Registered Events: It allows you to display in the same graph the number of Loss events per each month, those events are still open or already closed.
Event type: It allows to display the percentage of recorded Loss Events that have been classified in each of the "Event type". Standing on the graph, you can view the number of each state.
Event type: It allows to visualize the number of Loss Events that have been registered in each month and according to have been classified by "Event type".
Business Lines: It allows you to display the number of Loss Events which have been registered for each one of the ‘Business Lines’.Standing on the graph, you can view the number of each state
____________
## BaCeEuNbO6 (PBE)

Data for BaCeEuNbO6 after structural relaxation.

Lattice parameters (Å, degrees): 8.607 8.607 8.607 90.00 90.00 90.00
Space group F-43m (No. 216)
Asymmetric unit:
Ba1 0.000 0.000 0.000
Ce1 0.250 0.250 0.750
Eu1 0.000 0.000 0.500
Nb1 0.250 0.250 0.250
O1 0.013 0.250 0.250

magnetic moment = 0.60 μB/atom
electronic total energy = -8.679 eV/atom
offset from the most stable computed form = 38 meV/atom

---

## La2Mn3CuGe4 (PBE)

Data for La2Mn3CuGe4 after structural relaxation.

Lattice parameters (Å, degrees): 4.146 4.146 10.808 90.00 90.00 90.00
Space group P-4m2 (No. 115)
Asymmetric unit:
La1 0.000 0.500 0.249
Mn1 0.000 0.000 0.000
Mn2 0.000 0.000 0.500
Mn3 0.500 0.500 0.500
Cu1 0.500 0.500 0.000
Ge1 0.000 0.500 0.624
Ge2 0.000 0.500 0.872

magnetic moment = 0.78 μB/atom
electronic total energy = -6.467 eV/atom

---

## LiNbP4O12 (PBE)

Data for LiNbP4O12 after structural relaxation.

Lattice parameters (Å, degrees): 12.147 8.471 10.225 90.00 119.30 90.00
Space group C2/c (No. 15)
Asymmetric unit:
Li1 0.250 0.250 0.000
Nb1 0.000 0.057 0.750
P1 0.009 0.267 0.477
P2 0.197 0.492 0.699
O1 0.034 0.128 0.406
O2 0.045 0.236 0.918
O3 0.080 0.386 0.152
O4 0.138 0.363 0.563
O5 0.204 0.077 0.824
O6 0.229 0.422 0.844

magnetic moment = 0.11 μB/atom
electronic total energy = -7.305 eV/atom
offset from the most stable computed form = 9 meV/atom
____________
Business lines: It allows you to display the number of Loss Events which have been registered for each month and according the classification by ‘Business Lines’.
Total Number of Events By Character Event: It allows you to display the number of Loss Events which have been registered and classified in each one of the types defined as ‘Character of the Business’
Character of the event: It allows you to display the number of Loss Events which have been registered for each month and according to the classification of ‘Character of the Event’.
Total Losses by Event Type (Level 1) per month: It allows you to display the total losses of the Loss Events for each month and as they have been classified by "Event type (Level 1)".
Comparison of Losses/Recoveries/Insurances: It allows you to display the total volumen of Losses, Recoveries and insurance of Loss Events for each month.

In the legend of each graph you can unmark some of the information being displayed in order to customize the view of the graph. For example, if the graph of "Comparison of Losses / Recoveries / Insurances" you want only to display Losses and Recoveries, you have to click on the legend "Recoveries by Insurance" and GlobalSUITE will no longer display the graph with that information. If you want to reappear on the graph the value of the "Recoveries by Insurance", you will need to click on this type in the legend of the graph.
All graphics can be printed directly or downloaded by clicking on the 3 stripes symbol that appears on the top right of each graph. The available formats are PNG, JPEG, PDF and SVG vector.